
My friend John McHugh

Evidence Appearing





Evidence Appearing

   It was a 2" by 2" square wooden plaid with orange writing that read, TRUST JESUS.

It looked as if someone had the sign professionally made and then took a really big nail and hung it on a tree on the side of the highway.

**What comes next are records of molecules, not part of the entry:**
'''
1.
69
Properties=species:S:1:pos:R:3 method="wB97M-V/def2-TZVPD" homo_ev=-7.9 lumo_ev=-1.29 e_tot_ha=-2233.23138 orbital_gap_ev=6.62 charge=0
H 1.35042 6.42199 2.60171
N 2.03411 5.67196 2.84386
C 1.38490 4.53672 2.69219
C 1.99403 3.07880 2.89876
C 1.52054 1.99215 1.83390
C 2.22499 0.73985 1.76091
P 3.71810 0.29563 2.86792
N 3.02115 0.30987 4.52039
O 4.96956 1.46978 2.72773
C 1.77216 -0.42967 0.73927
O 2.58886 -1.20578 0.17963
C 0.17454 -0.53591 0.53135
C -0.58633 -1.85694 0.27581
C 0.24429 -3.24021 0.15670
C 0.52543 -3.47743 -1.43043
C -0.46770 -4.63222 -2.00956
O 1.92046 -3.71929 -1.72758
C 2.20958 -3.15545 -3.04905
C 2.82072 -1.67605 -2.96801
C 1.98126 -0.36756 -3.02743
C 2.66637 1.02572 -2.90820
C 4.21118 1.21971 -2.73452
C 5.06339 -0.09981 -2.71321
C 4.36793 -1.48973 -2.82383
C -2.14400 -1.77147 0.14710
N -2.84905 -3.07212 -0.07441
C -2.96467 -0.44342 0.26274
P -4.86952 -0.47415 0.14271
C -5.55375 -2.00120 1.09438
C -5.60550 1.00032 1.13558
C -2.15501 0.89626 0.47709
O -2.79057 2.18144 0.57250
C -3.04339 2.59506 -0.80738
C -2.80278 4.15777 -1.08458
C -0.60381 0.83480 0.61060
C 0.26239 2.17905 0.83508
O -0.01495 3.24726 0.24323
H 0.28544 4.61798 2.34099
H 1.64914 2.72986 3.94870
H 3.13548 3.19072 2.98433
H 3.34547 -0.53037 5.03620
H 2.00633 0.13997 4.36394
H 5.17577 1.84167 3.61948
H 1.23580 -3.20217 0.73374
H -0.35153 -4.11103 0.60265
H 0.23839 -2.49590 -1.97364
H -0.89168 -5.29024 -1.15825
H 0.00535 -5.25054 -2.84515
H -1.37298 -4.08830 -2.46328
H 2.98889 -3.83226 -3.56432
H 1.27858 -3.18731 -3.73125
H 0.84682 -0.40195 -3.14507
H 2.04397 1.99067 -2.93077
H 4.72344 2.23195 -2.66512
H 6.19036 0.04965 -2.59769
H 5.06944 -2.39676 -2.80553
H -2.80562 -3.34128 -1.06495
H -2.40790 -3.76265 0.54520
H -4.68735 -2.31702 1.79432
H -6.42147 -1.72304 1.79015
H -5.77962 -2.87990 0.40760
H -6.59546 0.67157 1.63056
H -4.87009 1.27544 1.96706
H -5.85439 1.89455 0.47514
H -2.42080 1.92743 -1.49250
H -4.15024 2.38655 -1.04032
H -2.39530 4.23457 -2.16186
H -2.02498 4.64416 -0.40818
H -3.76456 4.77827 -0.98515



2.
70
Properties=species:S:1:pos:R:3 method="wB97M-V/def2-TZVPD" homo_ev=-7.3 lumo_ev=0.29 e_tot_ha=-2400.93725 orbital_gap_ev=7.55 charge=0
Sc -0.20677 -0.12904 0.02113
C 2.48044 -0.97773 -1.76520
N 1.93616 0.29232 -1.34201
C 2.92188 1.10766 -0.61311
C 1.39996 1.04150 -2.46451
C 2.00105 1.00153 -3.71007
C 1.42060 1.63256 -4.80096
C 0.21011 2.27720 -4.62815
C -0.38061 2.35581 -3.37520
C 0.23187 1.80136 -2.24232
N -0.25280 1.80818 -0.93582
C -1.08264 2.77961 -0.40978
C -1.57921 3.94002 -1.02429
C -2.48517 4.77285 -0.38033
C -2.92747 4.50465 0.89981
C -2.37213 3.42168 1.57390
C -1.45355 2.59843 0.95216
N -0.72655 1.57125 1.67674
C -1.41090 1.03747 2.85178
C 0.56066 2.16301 2.12561
H 3.56625 -0.90074 -1.89735
H 2.01420 -1.28405 -2.69739
H 3.09425 -2.78276 -1.30012
H 3.78124 1.33781 -1.25487
H 3.26584 0.59149 0.27895
H 2.44591 2.04094 -0.32240
H 2.92800 0.45641 -3.84178
H 1.89186 1.58578 -5.77308
H -0.29770 2.71935 -5.47555
H -1.35566 2.80467 -3.29868
'''

At that very moment LAN Centre Setup, all of the stress that I was feeling disappeared.

The reason I was stressing so much is I had forgotten to trust Jesus.

I'm sure you are familiar with those feelings. The feeling of stressing yourself out because you forgot to trust Jesus. You want more than anything to take that leap of faith and find a job or career that will fit God's purpose for your life, your calling. But you are afraid to make the first step.

Fear is holding you back from following your dreams and desires.

Someone once said FEAR = False Evidence Appearing Real. This is so true.

The Bible tells us in 2 Timothy 1:7 "For God hath not given us the spirit of fear, but of power, and of love, and of a sound mind electric motor ac."

When we allow fear, which is not from God, to take control of us, we stress. But, God did not give us the spirit of fear therefore FEAR is false.

Whenever you feel fear starting to creep in, remember to TRUST JESUS.

Trust that He has a purpose for your life and that if you are not happy with what you are presently doing, then you aren't following HIS purpose.

Trust that making changes will be difficult and at times, frustrating, but always be mindful that you will be doing God's work.

Trust that everyone will not see the vision you see, but be mindful that God has a calling for you and you must fulfill that calling.

Here's an action point: Write both FEAR = False  Real and 2 Timothy 1:7 on two different pieces of paper. Then on another piece of paper, write in big orange letters, the words TRUST JESUS.

Post these saying somewhere you will see it everyday. Post it on the headboard of your bed; next to the mirror in the bathroom; on the visor of your car; on your desk at work.

Read these every day, several times a day--anytime you feel fear of stress coming down on you, take it out and read it.

If you do it often enough math concept, you will learn to always TRUST JESUS and fear and stress will not exist in your life.

Trust Jesus and nothing will hold you back from discovering God's purpose for your life.

Dawn Fields is a motivational speaker, author and life coach who teaches how to discover God's purpose for your life and incorporate it into a lucrative



No Name Ninja
